The Looming Threat of Artificial Intelligence on the Global Economy

3 min read

Artificial intelligence (AI) is undeniably reshaping the world, however the potential risks it presents to the economy and financial markets must not be overlooked, as emphasized by Gita Gopinath, the First Deputy Managing Director of the International Monetary Fund (IMF).

• Unrelated to this entry: records of molecules:
=====
{
  "formula": "C96H210N9",
  "method": "ωB97M-V/def2-TZVPD",
  "total_charge": 9,
  "homo_ev": -22.455,
  "homo_lumo_gap_ha": 0.3159,
  "lumo_ha": -0.50931,
  "symbols": ["C", "C", "C", "N", "C", "C", "C", "C", "C", "H", "H", "H", "H", "H", "H", "H", "H", "H", "H", "H", "H", "H", "H", "H", "H", "H", "H", "C", "C", "C", "C", "N", "C", "C", "C", "C", "C", "C", "C", "H", "H", "H", "H", "H", "H", "H", "H", "H", "H", "H", "H", "H", "H", "H", "H", "H", "H", "H", "H", "H", "H", "H", "H", "C", "C", "C", "C", "N", "C", "C", "C", "C", "C", "C", "C", "H", "H", "H", "H", "H", "H", "H", "H", "H", "H", "H", "H", "H", "H", "H", "H", "H", "H", "H", "H", "H", "H", "H", "H", "C", "C", "C", "C", "N", "C", "C", "C", "C", "C", "C", "C", "H", "H", "H", "H", "H", "H", "H", "H", "H", "H", "H", "H", "H", "H", "H", "H", "H", "H", "H", "H", "H", "H", "H", "H", "C", "C", "C", "C", "N", "C", "C", "C", "C", "C", "C", "C", "H", "H", "H", "H", "H", "H", "H", "H", "H", "H", "H", "H", "H", "H", "H", "H", "H", "H", "H", "H", "H", "H", "H", "H", "C", "C", "C", "C", "N", "C", "C", "C", "C", "C", "C", "C", "H", "H", "H", "H", "H", "H", "H", "H", "H", "H", "H", "H", "H", "H", "H", "H", "H", "H", "H", "H", "H", "H", "H", "H", "C", "C", "C", "C", "N", "C", "C", "C", "C", "C", "C", "C", "H", "H", "H", "H", "H", "H", "H", "H", "H", "H", "H", "H", "H", "H", "H", "H", "H", "H", "H", "H", "H", "H", "H", "H", "C", "C", "C", "C", "N", "C", "C", "C", "C", "C", "C", "C", "H", "H", "H", "H", "H", "H", "H", "H", "H", "H", "H", "H", "H", "H", "H", "H", "H", "H", "H", "H", "H", "H", "H", "H", "C", "C", "C", "C", "N", "C", "C", "C", "C", "C", "C", "C", "H", "H", "H", "H", "H", "H", "H", "H", "H", "H", "H", "H", "H", "H", "H", "H", "H", "H", "H", "H", "H", "H", "H", "H"],
=====
• So much for the records of molecules:

During a recent address at an AI summit in Switzerland, Gopinath issued a stark warning regarding the potential impact of AI on economic downturns, suggesting that if the risks are left unaddressed, an ordinary downturn could escalate into a severe economic crisis.

While the prevailing discourse around AI has largely focused on concerns about privacy, security, and misinformation, Gopinath stressed the need to pivot the conversation towards the potential economic impact of AI.

She highlighted the significant risks AI poses to labour markets, with advancements in automation potentially resulting in widespread job displacement. According to IMF research, advanced economies could witness up to 30% of jobs at high risk of AI substitution, a figure that stands at 20% in emerging markets and 18% in low-income countries. This could lead to a substantial increase in long-term unemployment, carrying severe economic implications.

In the financial sphere, the rapid integration of AI technologies, particularly in areas such as algorithmic trading and robo-advisors, presents its own set of risks. Gopinath underscored the potential for AI models to underperform in unprecedented events, triggering a chain of market disruptions and plummeting asset prices.

Furthermore, as businesses incorporate AI into their operations, there is a risk of supply chain breakdowns due to errors produced by AI models trained on outdated or ‘stale’ data. This could have far-reaching implications for global trade and productivity.

Despite these alarming scenarios, Gopinath also proposed measures to alleviate the risks associated with AI. She emphasised the importance of ensuring that tax policies do not unfairly favour automation over human workers and called for measures to support workers through education, skills training, and enhanced jobless benefits. Additionally, she highlighted the potential for AI to aid in upskilling, targeted assistance, and early warning systems for financial markets.

Gopinath’s warning serves as a timely reminder of the pressing need for proactive measures to address the potential disruptions that AI could bring to the global economy. She emphasised the significance of swift action by governments, institutions, and policymakers to navigate the regulatory and preparatory challenges posed by AI.

In summary, the transformative potential of AI comes with significant risks to the global economy, and it is crucial for stakeholders to work towards ‘AI-proofing’ the economy while harnessing the positive potential of AI.

Lynam, M. (2022, June 3). IMF official delivers stark warning on AI’s potential to turn an ordinary downturn into a severe economic crisis. CNBC.